Case presentation

A 61-year-old man was worked up for low back pain and bilateral L5 sciatic symptoms. He had no bowel or bladder disturbance and the physical examination showed no sensory loss and full motor power. The past medical history contained an orchiectomy as a teenager but no other major abdominal surgeries. This non-diabetic had 12 pack years but quit smoking 20 years ago, drank alcohol occasionally and was slightly overweight with a BMI of 27.8. He was a sporty man, cycling a lot without any shortness of breath but his walking distance was reduced to 100 yards due to back and leg pain. No evidence of ischemic heart disease or COPD was found in the cardiac and pulmonary work up. The tibialis posterior and the dorsalis pedis pulses were palpable on both lower extremities. The pre-operative X-ray showed a degenerative lumbar spine with a grade 1 listhesis due to a pars defect at the L3/4 level and height loss in the adjacent intervertebral disc with a total lumbar lordosis of 68.6° and a slight coronal imbalance. Two small osteophytes are present anteriorly at the L4 and L5 vertebral body and light to moderate calcification of the aorta is seen but no severe plaque formation is reported (Fig. 1). The performed MRI scan revealed normal lumbar vertebral alignment and a broad based moderate posterior disc bulge indenting the theca and narrowing the lateral recess with Modic Type II endplate changes at the L3/4 level. The L4/5 level had a broad based moderate posterior disc bulge as well with no apparent compromise to the exiting or descending nerve roots. Again, Modic Type II changes are present at the endplates (Fig. 2).

Fig. 1
figure 1

Preoperative lateral and AP X-ray. Enlargement with vessel calcification and osteophytes formation on the right

Fig. 2
figure 2

Preoperative MRI scan demonstrating disc changes and encroachment of the nerve root

Diagnostic imaging section (Figs. 1, 2)

Description about the condition, incidence, epidemiology, diagnosis, pathology, differential diagnosis

The perioperative complication rate in anterior surgery ranges from 5 to 14% in total [1, 2]. Vascular injuries are however, relatively rare complications ranging from 1.9 to 18% in the literature, with the highest rates being reported in the early 1990s [310]. General risk factors for an increased vascular injury risk are: current or previous osteomyelitis or discogenic infection, spondylolisthesis, osteophyte formation which is deemed to be an indicator for inflammatory reaction in the vessel-surrounding area, previous anterior surgery, transitional lumbo-sacral vertebra and cage migration. Interestingly, atherosclerosis as such is not a direct contraindication for anterior surgery [11] but L4/5 intervertebral exposure seems to increase the risk of vascular injuries, putting the left common iliac artery at particular risk [6, 11, 12]. The majority of vascular complications concern venous laceration mostly present after the retraction of great vessels [6]. The incidence of arterial thrombosis is reported to be very low (0.45–0.9%). The consequences however, are dramatic and occur even in patients without any calcification on pre-operative imaging, with females appearing to be more at risk [3, 11, 13]. In 19 published cases, severe complications like rhabdomyolysis and compartment syndrome with fasciotomy are described, leading, in the worst cases, to the loss of patients if diagnosis of an embolic event is postponed [11, 1318]. Eighteen patients had thrombosis of the left common iliac artery, three of them a second embolism more distally (2 common femoral and 1 popliteal artery thrombosis) indicating the need of a special surveillance for adequate perfusion at the distal left lower extremity to rule out peripheral occlusions. Clinical signs of acute arterial embolism like paleness, coldness or mottle of the leg may have delayed the occurence causing prolonged treatment, and are therefore insufficient in detecting arterial complications.

Vasospasm due to arterial irritation after retraction may mimic the same symptoms as an acute thrombosis but circulation is most likely re-established after observation. However, in severe cases of vasospasm, the surgical exploration of the artery is indicated [14].

Rationale for treatment and evidence based literature

Anterior interbody fusion offers better reconstruction of lordosis and less paravertebral muscle dissection for range of motion prevention compared to posterior constructs [19]. The anterior access reduces the risk of neurological complications compared to posterior access in the lumbar spine and post-operative wound problems like wound pain or infections are uncommon. The cage insertion offers indirect decompression as an alternative to a classical open posterior decompression, with simultaneous fusion as one stage surgery. Addressing the anterior column support in lumbar reconstruction seems to be advantageous compared to posterior fusion in terms of clinical outcome even if radiological parameters like lordosis do not show significant differences [20]. However, the rationale for this phenomenon is still unclear.

Because thrombosis of the left iliac artery occurs even in patients without any risk factors [3] monitoring with pulse oximetry is used in every single anterior access case as a routine precautious measurement in the institution. This offers an easy method to detect thrombosis and embolism during the surgery, offering immediate treatment possibilities like thrombectomy.


The patient was placed supine on the table and pulse oximetry was installed on one of the left toes after pedal pulse control. Perioperative imaging indicating the right levels and skin marking are followed. After aseptic preparation and draping, a standard midline skin incision was performed with preparation to the retroperitoneum while the peritoneum itself was not injured. The peritoneal sac and the soft tissues were retracted for exposure of the great vessels which are carefully dissected with small dissection swabs from the spine at the L3/4 and L4/5 level without any obvious direct injury. The retractors were then repositioned, drawing back the vessels to expose the intervertebral discs. Pulse oximetry was lost after retraction and a stop clock was started, indicating the ischemic time. The anterior ligament, the disc itself and the protruding posterior disc parts were consecutively removed, beginning at the L3/4 level. After cartilage clearance of both endplates and measurement of a convenient template, a BMP2 packed cage was inserted in the intravertebral space and secured with four screws. This procedure was repeated at the lower level in the same manner. After 55 min, the vessels were released but pulse oximetry did not return. The palpation revealed a significant pulse decrease between the aorta, left common iliac artery and common femoral artery. The abdominal access was not closed in case of further vascular intervention and after 5 min a Doppler investigation was performed to rule out any vaso-spastic components. Doppler signals could not be found at the pedal, popliteal artery and common femoral artery indicating acute thrombosis of the left common iliac artery. His leg became cold and mottled so the decision was made to explore the vascular situation at the level of iliac bifurcation (Fig. 3). Arterial clamping followed systemic anticoagulation with 5,000 units of Heparin. After longitudinal incision, a ruptured plaque with fresh thrombotic material was visible (Fig. 4). A 5-French Fogarty catheter was inserted first in the internal iliac artery, delivering several thrombi in five applications. The procedure was repeated on the external iliac artery with removal of several thrombi which can be missed if only the exposed abdominal vessels are palpated.

Fig. 3
figure 3

Intraoperative mottled left foot and placement of pulse oximetry

Fig. 4
figure 4

View of ruptured plaque after opening of clamped left common artery secured by additional vessel loops

The ruptured plaque was removed via artherectomy and both iliac vessels were flushed with 10 ml heparinised saline (Fig. 5). For closure, a 5 × 5 bovine pericardial patch was fitted and sutured consecutively to the artery with 5-0 Prolene (Fig. 6). The common iliac artery was vented before opening leg circulation and after recirculation, a good pulse was palpable at the common iliac artery and pulse oximetry returned. Doppler signals could be found at the tibialis posterior as well as the dorsalis pedis artery. Surgery could be finished without further complications and pulse oximetry control showed 100% oxygen saturation. The patient was brought to post-anaesthetic recovery and pulse status was controlled with pulse oximetry and palpation.

Fig. 5
figure 5

Removed plaque

Fig. 6
figure 6

Patch closure of the left common iliac artery with bovine pericardial patch

Procedure imaging section (Figs. 37)

Outcome with documentation

Crystal structures, kept here for reference
/*
Al2IrBr | PBE | relaxed

Lattice parameters (Å, degrees): 6.032 6.032 7.096 64.85 64.85 90.00
Fractional positions:
Ir 0.000 0.000 0.000
Ir 0.750 0.250 0.500
Al 0.062 0.625 0.250
Al 0.875 0.938 0.750
Al 0.688 0.125 0.250
Al 0.375 0.312 0.750
Br 0.500 0.500 0.000
Br 0.250 0.750 0.500

Values from the calculation:
raw formation energy	-0.75	kcal/mol of atoms
ΔE to the lowest computed polymorph	0.481	eV per atom
total moment	0.00	μB/cell

***

BeAgBr3 | PBE | relaxed

Lattice parameters (Å, degrees): 3.749 7.480 10.246 98.52 90.00 90.00
Fractional positions:
Be 0.250 0.790 0.199
Be 0.750 0.210 0.801
Ag 0.750 0.309 0.281
Ag 0.250 0.691 0.719
Br 0.750 0.415 0.669
Br 0.750 0.947 0.677
Br 0.250 0.585 0.331
Br 0.250 0.241 0.929
Br 0.750 0.759 0.071
Br 0.250 0.053 0.323

Values from the calculation:
raw formation energy	-15.41	kcal/mol of atoms
ΔE to the lowest computed polymorph	0.000	eV per atom
total moment	0.00	μB/cell

***

Li2CuH5Rh | PBE | relaxed

Lattice parameters (Å, degrees): 2.882 5.325 9.971 90.00 90.00 105.70
Fractional positions:
Li 0.928 0.856 0.182
Li 0.072 0.144 0.682
Li 0.814 0.629 0.861
Li 0.186 0.371 0.361
Cu 0.212 0.424 0.073
Cu 0.788 0.576 0.573
H 0.261 0.521 0.656
H 0.438 0.875 0.786
H 0.948 0.895 0.523
H 0.562 0.125 0.286
H 0.358 0.716 0.309
H 0.739 0.479 0.156
H 0.621 0.242 0.513
H 0.379 0.758 0.013
H 0.642 0.284 0.809
H 0.052 0.105 0.023
Rh 0.525 0.049 0.921
Rh 0.475 0.951 0.421

Values from the calculation:
calculated total energy	-3.767	eV per atom
total moment	0.00	μB/cell

~~~~~

! Al3CoMo | the Alexandria database | GGA-PBE | relaxed; values from VASP
! Crystal system   cubic
! Symmetry   Pm-3m
! ΔE to the lowest computed polymorph   0.00 kJ/mol of atoms
&SYSTEM
  ibrav = 0, nat = 5, ntyp = 3
/
ATOMIC_SPECIES
Al 26.98 Al.upf
Co 58.93 Co.upf
Mo 95.94 Mo.upf
CELL_PARAMETERS angstrom
4.364 0.000 0.000
0.000 4.364 0.000
0.000 0.000 4.364
ATOMIC_POSITIONS crystal
Al 0.000 0.000 0.500
Al 0.000 0.500 0.000
Al 0.500 0.000 0.000
Co 0.000 0.000 0.000
Mo 0.500 0.500 0.500

=====

! AlCoMo2 | the Alexandria database | GGA-PBE | relaxed; values from VASP
! Crystal system   orthorhombic
! Symmetry   Pmmm
&SYSTEM
  ibrav = 0, nat = 4, ntyp = 3
/
ATOMIC_SPECIES
Al 26.98 Al.upf
Co 58.93 Co.upf
Mo 95.94 Mo.upf
CELL_PARAMETERS angstrom
2.708 0.000 0.000
0.000 4.064 0.000
0.000 0.000 5.154
ATOMIC_POSITIONS crystal
Al 0.000 0.000 0.000
Co 0.000 0.000 0.500
Mo 0.500 0.500 0.254
Mo 0.500 0.500 0.746

=====

! AlCoMo2 | the Alexandria database | GGA-PBE | relaxed; values from VASP
! Crystal system   orthorhombic
! Symmetry   Pmmm
&SYSTEM
  ibrav = 0, nat = 4, ntyp = 3
/
ATOMIC_SPECIES
Al 26.98 Al.upf
Co 58.93 Co.upf
Mo 95.94 Mo.upf
CELL_PARAMETERS angstrom
3.191 0.000 0.000
0.000 4.098 0.000
0.000 0.000 4.328
ATOMIC_POSITIONS crystal
Al 0.000 0.000 0.000
Co 0.500 0.500 0.000
Mo 0.000 0.500 0.500
Mo 0.500 0.000 0.500

=====

! AlCoMo2 | the Alexandria database | GGA-PBE | relaxed; values from VASP
! Crystal system   tetragonal
! Symmetry   I-42d
*/

The in-hospital stay was uneventful and he could be discharged after 10 days without the pulse deficit and sufficient perfusion of the left leg. A postoperative X-ray showed a satisfactory restoration of his total lumbar lordosis (now 55.5°) and his back and sciatic symptoms subjectively improved (Fig. 7).

Fig. 7
figure 7

Postoperative X-ray control with restoration of lordosis